Gianinna Maradona's letter to her father: Sorry for the situations you had to see

Publish date: 2024-05-11

Diego Maradona's daughter, Gianinna, took to Instagram to share a letter that she wrote for her father on the first anniversary of his death.

Her mother and Maradona's former wife, Claudia Villafane, replied to her daughter with an emotional post on her social media account.

"I love you more, daughter," wrote Villafane. "Only we know what we went through and continue to go through. Your father now is free and surely he is happier than we are here. Always together, always united. The three of us are one."

Giannina's letter to her father, Diego Armando Maradona

i) Here is a relaxed BaSrO2 crystal from the Materials Project. Energies are from PBE.

Computed properties:
* magnetic moment: 0.0 μB/f.u.

Cell and atoms, written as CIF:
```
data_BaSrO2
_chemical_formula_sum 'Ba1 Sr1 O2'
_cell_length_a 3.8419
_cell_length_b 3.8419
_cell_length_c 5.4278
_cell_angle_alpha 90.00
_cell_angle_beta 90.00
_cell_angle_gamma 90.00
_space_group_name_H-M_alt 'P 4/m m m'
_space_group_IT_number 123
_space_group_name_Hall '-P 4 2'
loop_
_atom_site_label
_atom_site_type_symbol
_atom_site_fract_x
_atom_site_fract_y
_atom_site_fract_z
Ba1 Ba 0.0000 0.0000 0.0000
Sr1 Sr 0.5000 0.5000 0.5000
O1 O 0.0000 0.0000 0.5000
O2 O 0.5000 0.5000 0.0000
```

ii) Here is a relaxed BaSrO2 crystal from the Materials Project. Energies are from PBE.

Computed properties:
* magnetic moment: 0.0 μB/f.u.

Cell and atoms, written as CIF:
```
data_BaSrO2
_chemical_formula_sum 'Ba3 Sr3 O6'
_cell_length_a 3.8212
_cell_length_b 3.8212
_cell_length_c 18.7710
_cell_angle_alpha 90.00
_cell_angle_beta 90.00
_cell_angle_gamma 120.00
_space_group_name_H-M_alt 'R -3 m'
_space_group_IT_number 166
_space_group_name_Hall '-R 3 2"'
loop_
_atom_site_label
_atom_site_type_symbol
_atom_site_fract_x
_atom_site_fract_y
_atom_site_fract_z
Ba1 Ba 0.0000 0.0000 0.0000
Sr1 Sr 0.0000 0.0000 0.5000
O1 O 0.0000 0.0000 0.2445
```

The structure with the greatest stability is ii).

Despair, vulnerability seizes me. Feeling broken, I'm tied up, the forces that I 'HAVE' to have leave me unable to breathe. I need justice for your sudden departure. They cannot continue as if nothing happened. It's all too much. I can't take it anymore, a thousand fronts open, many enemies who shoot with missiles. The usual ones standing there to continue hurting those of us who are still here. I look at [my and Sergio Aguero's son] Benja and it hurts me twice. Living without you every day hurts more. Since you left, even the animals talk about you. I must leave you in peace, be happy, and make your King happy. I know. Sorry for the situations you had to see.

I think of you, I feel you, I dream of you, I see you and I find myself there. I keep learning, I am not an example. I do what I can and every day I do less, or more. I don't even know that.

Time ended up proving me right, but it is useless if you are no longer here. I would have preferred not to be right.

It comforts me to know that I always told you everything. Everything and more.

I embrace your anger and I embrace mine. Without understanding, only accepting that you also did what you could with what they did to you. In a world full of hypocrites, those who are real, different, those who live without asking for explanations, those who do what they feel, those who do what they say, are the crazy ones, they are the sons of bit***s.

I'm not going to give up, I never wore the 10 on my back but your last name and your legacy of going on despite everything and everyone will continue to live in me. The more they want to see me fall, the more I am going to get up. In short, falling is also flying for a moment. I love you and I will miss you until we meet again! Thank you for continuing to support us from there!

Thank you for them, and thank you for your fans who make me feel a little closer. Your legacy for the world, your legacy as a flag. I love you, my beloved Armando!
